A new report at Fox News brings front-and-center the monumental hypocrisy of the Democratic Party—also known as the “Party of Gun Prohibition”—as they prepare the city of Chicago for the August Democratic National Convention.
“Street and walkway upgrades are already underway,” the report says. “And according to a law enforcement source, the plan is to isolate the convention area from the rest of the city entirely, with access only for the media, law enforcement and DNC designees.”
Fences, controlled entry and lots of security. It’s required for Democrats in the Windy City but no good for the southern border.
“Authorities are imposing strict measures on people who live and work inside the secure zone as well, including vehicle checks, FOX 32 Chicago reported Wednesday,” the report added.
This is the party which tells us bump stocks must be banned and permitless carry, now the law in 29 states, will produce blood in the streets despite mounting evidence neither position is accurate, or even credible.
A report at GB News quotes political commentator Tim Young observing, “Maybe better health care, more mental institutions. There’s more work to be done on people personally. But banning a weapon or not banning a weapon, ultimately a killer is going to find a way to kill.”
Bump stocks were arbitrarily banned by decree of the Bureau of Alcohol, Tobacco, Firearms and Explosives, a move struck down by the U.S. Supreme Court last week. The 6-3 ruling held that ATF exceeded its authority when it banned bump stocks during the Trump administration. This was in response to the mass shooting in Las Vegas, Nevada Oct. 1, 2017. Killer Stephen Paddock used rifles fitted with bump stocks to murder 60 people and wound “at least 413,” according to an account at Wikipedia.
Underscoring Young’s remark that killers “will find a way to kill,” one needs only to examine the terrorist attack in Nice, France on July 14, 2016 when Mohamed Lahouaiej-Bouhlel used a stolen truck to mow down and kill 86 people and injure 434 others during a Bastille Day celebration, according to another Wikipedia report.
It should be noted that Lahouaiej-Bouhlel was stopped by a police officer who shot him dead. France doesn’t have a Second Amendment, so there were no legally-armed private citizens who could have legally drawn a gun and at least limited the tragedy.
Kevin Dixie, founder of Aiming for the Truth, who wrote recently in the Carolina Journal, “Guns in the hands of law-abiding citizens create safer communities. But you don’t have to take my word for it — the data prove it.”
Unlike anti-gunners, who habitually refer to themselves as “gun safety advocates,” Dixie provided links to the source of the data. A report from the University of Wyoming College of Law’s Firearms Research Center looked at the adoption of so-called “constitutional carry” laws in recent years by Republican/red states. The conclusion reached by senior fellow K. Alexander Adams was that “constitutional carry does not lead to large-scale change in homicides or in firearm suicides.”
“The doomsday scenarios of constitutional-carry opponents are not supported by social science,” Adams stated.
For those who require numbers, Adams went into detail: “The relationship between constitutional-carry laws and homicide is negative, which is the opposite of what gun-control activists have predicted. Constitutional-carry laws were associated with about 6% lower homicide rates; but, again, the result was not statistically significant. In other words, we cannot be 99%, 95% or 90% sure that this happy result was not due to chance.”
Adams also wrote, “Other academic studies have come to the same conclusion. Hamill et al. (2019) found no significant shifts in homicide when states liberalized their concealed carry laws, including the adoption of permitless carry, and neither did Smith and Petrocelli (2018) find an effect of permitless carry when studying handgun-related crime in Tucson, Arizona.”
Democrats, who seem more concerned with disarming law-abiding citizens than in locking up criminals and securing the border, stubbornly refuse to look beyond their “guns-are-bad” doctrine, which treats the Second Amendment like a government-regulated privilege. It appears Democrats close their eyes and ears to anything going against their narrative.
So, when Adams writes, “The research on liberalized carry laws is not without controversy in the academic world. However, since 1997, when research on the impact of right-to-carry laws on crime began, 40 of the 52 studies revealed that this legislation did not – as many predicted – lead to an increase in violent crime,” Democrats either discount it or ignore it altogether.
This raises a critical question which will be facing U.S. voters over the next four months and come to a head on Nov. 5.
Does a party which only gives lip service to the right of the people to keep and bear arms, a party which pushes increasingly restrictive gun control laws while turning a blind eye to a porous southern border and a broken justice system, really deserve another shot at governing?
About Dave Workman
Data records that have nothing to do with the entry:
~~~
# 1
{"formula": "H8O4", "method": "wB97M-V/def2-TZVPD", "symbols": ["O", "H", "H", "O", "H", "H", "O", "H", "H", "O", "H", "H"], "xyz": [[-1.41, 27.64, 8.39], [-1.41, 26.89, 8.98], [-0.97, 27.32, 7.60], [-7.83, 26.76, 11.59], [-7.93, 26.00, 11.02], [-8.62, 27.29, 11.44], [-5.94, 28.92, 7.22], [-5.50, 28.08, 7.39], [-6.67, 28.93, 7.83], [-5.14, 26.64, 8.57], [-4.29, 26.22, 8.70], [-5.72, 26.21, 9.21]], "homo_lumo_gap_ev": 10.81, "multiplicity": 1, "smiles": "O.O.O.O", "e_tot_ha": -305.73809, "lumo_energy_ev": 0.2, "total_charge": 0, "relative_energy_kcal_mol": 25.8}

# 2
~~~
Dave Workman is a senior editor at TheGunMag.com and Liberty Park Press, author of multiple books on the Right to Keep & Bear Arms, and formerly an NRA-certified firearms instructor.
In addition to media, law enforcement and DNC members, they should let in Hollywood to film from both sides of the fencing. The producers would save millions in set costs for the next dystopian movie.
Everybody should hang in there. Soon, liberals will be passing away from global warming.
Hi Dave. This is what you wrote. Underscoring Young’s remark that killers “will find a way to kill,” one needs only to examine the terrorist attack in Nice, France on July 14, 2016 when Mohamed Lahouaiej-Bouhlel used a stolen truck to mow down and kill 86 people and injure 434 others during a Bastille Day celebration, according to another Wikipedia report. I consider any kind of murder, bad. I would like to add to your article that thousands of people were killed in America. It started with box cutters and graduated to airplanes. No one was armed to shoot the Muslim… Read more »
The irony of an administration lecturing US Citizens about guns on the streets when they armed the Taliban with $7.1B in arms they abandoned in Afghanistan. (currently showing up in armed conflicts around the world)
my answer to your last question is, NOT A CHANCE! but there are way too many people who vote with their feelings and emotions and for the party instead of using their intellect. as humans, we are supposed to use our higher intellect, logic and reasoning to make decisions. otherwise, we are nothing but animals.
“We’ll know our disinformation program is complete when everything the American public believes is false.” – William J. Casey, CIA Director (1981)